(Source)
~~~
No. 1
Fe3Au after structural relaxation, computed with GGA-PBE.

```
data_Fe3Au
_cell_length_a 2.9965
_cell_length_b 2.9965
_cell_length_c 6.0398
_cell_angle_alpha 90.00
_cell_angle_beta 90.00
_cell_angle_gamma 90.00
_symmetry_space_group_name_H-M 'P 4/m m m'
_symmetry_Int_Tables_number 123
_symmetry_space_group_name_Hall '-P 4 2'
loop_
_atom_site_label
_atom_site_type_symbol
_atom_site_fract_x
_atom_site_fract_y
_atom_site_fract_z
Fe1 Fe 0.0000 0.0000 0.0000
Fe2 Fe 0.5000 0.5000 0.2170
Au1 Au 0.0000 0.0000 0.5000
```

E_tot (eV/atom): -7.052
Volume (Å³/atom): 13.6
Formation enthalpy at 0 K (eV/atom): 0.115

No. 2
ZrAlV2As after structural relaxation, computed with GGA-PBE.

```
data_ZrAlV2As
_cell_length_a 4.6999
_cell_length_b 4.6999
_cell_length_c 5.1011
_cell_angle_alpha 90.00
_cell_angle_beta 90.00
_cell_angle_gamma 90.00
_symmetry_space_group_name_H-M 'P 4/m m m'
_symmetry_Int_Tables_number 123
_symmetry_space_group_name_Hall '-P 4 2'
loop_
_atom_site_label
_atom_site_type_symbol
_atom_site_fract_x
_atom_site_fract_y
_atom_site_fract_z
Zr1 Zr 0.0000 0.0000 0.0000
Al1 Al 0.0000 0.0000 0.5000
V1 V 0.0000 0.5000 0.0000
As1 As 0.5000 0.5000 0.5000
```

E_tot (eV/atom): -5.573
Volume (Å³/atom): 22.5
Formation enthalpy at 0 K (eV/atom): 1.462

No. 3
NaLa2HoSe4 after structural relaxation, computed with GGA-PBE.

```
data_NaLa2HoSe4
_cell_length_a 7.2804
_cell_length_b 4.2227
_cell_length_c 7.3625
_cell_angle_alpha 90.00
_cell_angle_beta 109.36
_cell_angle_gamma 90.00
_symmetry_space_group_name_H-M 'P 1 2/m 1'
_symmetry_Int_Tables_number 10
loop_
_symmetry_equiv_pos_as_xyz
'x,y,z'
'-x,-y,-z'
'-x,y,-z'
'x,-y,z'
loop_
_atom_site_label
_atom_site_type_symbol
_atom_site_fract_x
_atom_site_fract_y
_atom_site_fract_z
Na1 Na 0.0000 0.0000 0.0000
La1 La 0.5000 0.0000 0.5000
La2 La 0.5000 0.5000 0.0000
Ho1 Ho 0.0000 0.5000 0.5000
Se1 Se 0.2328 0.0000 0.7410
Se2 Se 0.2388 0.5000 0.2526
```

E_tot (eV/atom): -5.519
Volume (Å³/atom): 26.7

No. 4
Hg2GeAu after structural relaxation, computed with GGA-PBE.

```
data_Hg2GeAu
_cell_length_a 3.0397
_cell_length_b 3.0397
_cell_length_c 33.4758
_cell_angle_alpha 90.00
_cell_angle_beta 90.00
_cell_angle_gamma 120.00
_symmetry_space_group_name_H-M 'R -3 m'
_symmetry_Int_Tables_number 166
_symmetry_space_group_name_Hall '-R 3 2"'
loop_
_atom_site_label
_atom_site_type_symbol
_atom_site_fract_x
_atom_site_fract_y
_atom_site_fract_z
Hg1 Hg 0.0000 0.0000 0.0855
Ge1 Ge 0.0000 0.0000 0.5000
Au1 Au 0.0000 0.0000 0.0000
```

E_tot (eV/atom): -1.893
Volume (Å³/atom): 22.3
Formation enthalpy at 0 K (eV/atom): 0.232
~~~
(Work order)
Your job: restate the listing further above verbatim.
(Outcome)
No. 1
Fe3Au after structural relaxation, computed with GGA-PBE.

```
data_Fe3Au
_cell_length_a 2.9965
_cell_length_b 2.9965
_cell_length_c 6.0398
_cell_angle_alpha 90.00
_cell_angle_beta 90.00
_cell_angle_gamma 90.00
_symmetry_space_group_name_H-M 'P 4/m m m'
_symmetry_Int_Tables_number 123
_symmetry_space_group_name_Hall '-P 4 2'
loop_
_atom_site_label
_atom_site_type_symbol
_atom_site_fract_x
_atom_site_fract_y
_atom_site_fract_z
Fe1 Fe 0.0000 0.0000 0.0000
Fe2 Fe 0.5000 0.5000 0.2170
Au1 Au 0.0000 0.0000 0.5000
```

E_tot (eV/atom): -7.052
Volume (Å³/atom): 13.6
Formation enthalpy at 0 K (eV/atom): 0.115

No. 2
ZrAlV2As after structural relaxation, computed with GGA-PBE.

```
data_ZrAlV2As
_cell_length_a 4.6999
_cell_length_b 4.6999
_cell_length_c 5.1011
_cell_angle_alpha 90.00
_cell_angle_beta 90.00
_cell_angle_gamma 90.00
_symmetry_space_group_name_H-M 'P 4/m m m'
_symmetry_Int_Tables_number 123
_symmetry_space_group_name_Hall '-P 4 2'
loop_
_atom_site_label
_atom_site_type_symbol
_atom_site_fract_x
_atom_site_fract_y
_atom_site_fract_z
Zr1 Zr 0.0000 0.0000 0.0000
Al1 Al 0.0000 0.0000 0.5000
V1 V 0.0000 0.5000 0.0000
As1 As 0.5000 0.5000 0.5000
```

E_tot (eV/atom): -5.573
Volume (Å³/atom): 22.5
Formation enthalpy at 0 K (eV/atom): 1.462

No. 3
NaLa2HoSe4 after structural relaxation, computed with GGA-PBE.

```
data_NaLa2HoSe4
_cell_length_a 7.2804
_cell_length_b 4.2227
_cell_length_c 7.3625
_cell_angle_alpha 90.00
_cell_angle_beta 109.36
_cell_angle_gamma 90.00
_symmetry_space_group_name_H-M 'P 1 2/m 1'
_symmetry_Int_Tables_number 10
loop_
_symmetry_equiv_pos_as_xyz
'x,y,z'
'-x,-y,-z'
'-x,y,-z'
'x,-y,z'
loop_
_atom_site_label
_atom_site_type_symbol
_atom_site_fract_x
_atom_site_fract_y
_atom_site_fract_z
Na1 Na 0.0000 0.0000 0.0000
La1 La 0.5000 0.0000 0.5000
La2 La 0.5000 0.5000 0.0000
Ho1 Ho 0.0000 0.5000 0.5000
Se1 Se 0.2328 0.0000 0.7410
Se2 Se 0.2388 0.5000 0.2526
```

E_tot (eV/atom): -5.519
Volume (Å³/atom): 26.7

No. 4
Hg2GeAu after structural relaxation, computed with GGA-PBE.

```
data_Hg2GeAu
_cell_length_a 3.0397
_cell_length_b 3.0397
_cell_length_c 33.4758
_cell_angle_alpha 90.00
_cell_angle_beta 90.00
_cell_angle_gamma 120.00
_symmetry_space_group_name_H-M 'R -3 m'
_symmetry_Int_Tables_number 166
_symmetry_space_group_name_Hall '-R 3 2"'
loop_
_atom_site_label
_atom_site_type_symbol
_atom_site_fract_x
_atom_site_fract_y
_atom_site_fract_z
Hg1 Hg 0.0000 0.0000 0.0855
Ge1 Ge 0.0000 0.0000 0.5000
Au1 Au 0.0000 0.0000 0.0000
```

E_tot (eV/atom): -1.893
Volume (Å³/atom): 22.3
Formation enthalpy at 0 K (eV/atom): 0.232